by Harold Taylor
If you can do without it, get rid of
it. Send it to the recycle bin or to the trash can. This refers
to junk mail or one-way communications that simply say, "thank you," "for your information,"
or "please note." Destroy it. Ditch it. Don't keep it if you don't have to.
Delegate it. If it's something that must be acted
upon, and it can be done by somebody else who earns less salary
than you do, delegate it. You cannot afford to pay $100/hour labor
for $30/hour work. Designate a due date and direct it to a member
of your staff. Record the due date in the "Follow-up"
section of your planner.
Do it. If it must be done, and you're the only one
who can do it, and it will take ten minutes or less, do it
now. Don't defer it, dodge it or disown it. Dig in
and do it. It could be a quick telephone call to reply to a letter,
or an e-mail message, or a brief report. Dispense with it quickly.
Don't drag it out.
Develop it. If it's important, can only be
done by yourself, and will take longer than ten minutes, determine
when you will do it, and schedule that time in your planner. Develop
an action plan now that will ensure that it gets done in time,
regardless of its magnitude. Even if the task will take 100 hours,
schedule the first few hours this week. When the two hours are
over, schedule another few hours the following week and so on
until it's completed. How many blocks of time you schedule
each week is determined by the deadline date of the task. Don'
t put it on a "To Do" list if it is a priority.
If you're serious about doing it, schedule time to do it.
Put the paperwork in a follow-up file corresponding to the date
you have selected.
Here the page breaks off for data records.
........
Entry 1:
62
Lattice="8.6448 0.0000 0.0000 -1.1061 9.4034 0.0000 -0.3158 -1.4033 9.7028" Properties=species:S:1:pos:R:3 comment="K3GdH6C6O15 | Materials Project | PBE-GGA | relaxed" e_tot_ev_per_atom=-6.90 ef_ev_per_atom=-1.834 pbc="T T T"
K -0.0419 2.4571 3.7643
K 2.2960 1.1874 1.0958
K 2.0503 6.9939 2.9152
K 5.1725 1.0062 6.7876
K 4.9269 6.8127 8.6070
K 7.2647 5.5429 5.9386
Gd 1.3071 2.2969 7.5988
Gd 5.9157 5.7032 2.1041
H -0.0131 6.7359 9.2919
H 1.9440 0.3549 5.1725
H 1.2162 5.8231 9.5376
H 2.7105 1.6827 4.9110
H 1.9945 8.2919 7.6419
H 2.4892 7.2929 6.5513
H 4.7336 0.7072 3.1515
H 5.2284 -0.2918 2.0609
H 4.5124 6.3173 4.7919
H 6.0066 2.1769 0.1653
H 5.2789 7.6451 4.5304
H 7.2360 1.2641 0.4110
C -0.2397 4.2479 0.5463
C -0.8036 8.1499 3.1305
C 0.3046 -0.8166 7.6441
C 1.9137 4.9237 5.8612
C 3.4577 5.4156 0.0153
C 3.3564 4.5140 6.3143
C 3.8665 3.4860 3.3886
C 3.7652 2.5845 9.6875
C 5.3092 3.0764 3.8416
C 6.9182 8.8166 2.0587
C 8.0265 -0.1498 6.5724
C 7.4625 3.7522 9.1565
O -0.9547 6.8856 3.2811
O -0.6863 3.6599 7.9880
O -1.0285 7.3945 7.9740
O 0.7083 3.4920 0.1986
O 1.1347 -0.5205 3.7195
O 1.2330 -0.0716 8.1103
O 1.0458 3.9777 5.8743
O 0.9816 7.9098 0.2798
O 1.6765 6.1100 5.5250
O 2.3765 1.0968 5.6504
O 2.0907 4.2033 9.0435
O 2.9250 2.6503 3.5131
O 3.1732 1.7018 8.9915
O 2.8107 7.9394 7.2354
O 3.4584 3.3392 6.7808
O 3.7645 4.6608 2.9221
O 4.4122 0.0607 2.4674
O 4.0496 6.2983 0.7113
O 4.2978 5.3498 6.1897
O 5.1321 3.7967 0.6594
O 4.8463 6.9032 4.0525
O 5.5463 1.8900 4.1778
O 6.2412 0.0902 9.4230
O 6.1771 4.0223 3.8286
O 5.9898 8.0716 1.5925
O 6.0882 8.5205 5.9834
O 6.5145 4.5080 9.5042
O 8.2513 0.6055 1.7289
O 7.9092 4.3401 1.7149
O 8.1775 1.1145 6.4218


Entry 2:
68
Lattice="5.4764 -6.0993 0.0000 5.4764 6.0993 0.0000 0.0000 0.0000 15.5045" Properties=species:S:1:pos:R:3 comment="Si3Sb5N9 | Materials Project | PBE-GGA | relaxed" e_tot_ev_per_atom=-6.56 ef_ev_per_atom=-0.165 pbc="T T T"
Si 2.7382 0.4742 3.8761
Si 5.4764 3.5264 11.9246
Si 5.4764 3.5267 15.1282
Si 2.7382 -0.4742 11.6284
Si 5.4764 2.5729 4.1723
Si 5.4764 2.5726 7.3760
Si 5.4764 -2.5726 8.1285
Si 5.4764 -2.5729 11.3322
Si 8.2145 0.4742 3.8761
Si 5.4764 -3.5267 0.3763
Si 5.4764 -3.5264 3.5799
Si 8.2145 -0.4742 11.6284
Sb 5.4764 6.0712 2.4137
Sb 3.5003 3.5935 1.9668
Sb 5.4764 5.5047 9.6793
Sb 3.5003 2.5058 9.7190
Sb 2.6473 0.0000 0.0000
Sb 2.8291 0.0000 7.7522
Sb 7.4524 3.5935 1.9668
Sb 5.4764 0.5946 1.9271
Sb 7.4524 2.5058 9.7190
Sb 5.4764 0.0281 10.1659
Sb 5.4764 -0.0281 5.3386
Sb 3.5003 -2.5058 5.7855
Sb 5.4764 -0.5946 13.5774
Sb 3.5003 -3.5935 13.5377
Sb 8.1237 0.0000 7.7522
Sb 8.3054 0.0000 0.0000
Sb 7.4524 -2.5058 5.7855
Sb 5.4764 -5.5047 5.8252
Sb 7.4524 -3.5935 13.5377
Sb 5.4764 -6.0712 13.0908
N 1.2528 1.3897 4.1727
N 9.6999 -1.3897 11.3318
N 4.0489 4.4402 0.1479
N 5.4764 3.9734 3.0670
N 2.3638 0.4115 13.0994
N 5.4764 3.7970 8.6161
N 1.2528 -1.3897 11.3318
N 4.0489 1.6591 7.9002
N 5.4764 3.1338 13.5117
N 2.3638 -0.4115 2.4051
N 3.1126 0.4115 10.1574
N 5.4764 2.9655 5.7594
........
Delay it. If it should be done, can only be done by you,
but is not a priority, delay it by adding it to your "
Things To Do" list. Work at it during spare moments
that week; but don't spend prime time on it. And don'
t let it displace the important tasks. If it never gets
done, it's no big deal. The paperwork can go into a "
To Do" folder in your right hand drawer or in a step
file on your desk.
Deposit it. If the paperwork is informational and must
be retained for future reference, drop it in your filing system
or deposit it in a 3-ring binder so you can retrieve it easily.
Don't toss it aside with the intention of filing it later.
Develop the do it now habit when dealing with paperwork.
By following the "6 D" formula for dispensing
with paperwork you are handling paper a minimum number of times.
You either discard it, delegate it, do it, develop it, delay it
or deposit it. Double handling will decrease, distractions will
desist, and disorganization will disappear.
Excerpted from the best-selling book,
© 1998 by Harold L. Taylor